Get a handle to the default system clock. The refcount of the clock will be increased so you need to unref the clock after usage.
Sets the default system clock that can be obtained with gst.system_clock.SystemClock.obtain.
Compares the two #GstClockID instances. This function can be used as a GCompareFunc when sorting ids.
This function returns the underlying clock.
Gets the time of the clock ID
Increases the refcount of given id.
Unrefs given id. When the refcount reaches 0 the #GstClockID will be freed.
Cancels an outstanding request with id. This can either be an outstanding async notification or a pending sync notification. After this call, id cannot be used anymore to receive sync or async notifications, you need to create a new #GstClockID.
This function returns whether id uses clock as the underlying clock. clock can be NULL, in which case the return value indicates whether the underlying clock has been freed. If this is the case, the id is no longer usable and should be freed.
Performs a blocking wait on id. id should have been created with gst.clock.Clock.newSingleShotId or gst.clock.Clock.newPeriodicId and should not have been unscheduled with a call to gst.clock.Clock.idUnschedule.
Someone pasted records of molecules at this point:
/*
[1]
Below is a cluster of 3 separate species, C31H58N10O2P2S in total, with properties calculated with wB97M-V/def2-TZVPD.

CARTESIAN COORDINATES (ANGSTROEM)
1 H -1.81308 8.16366 -4.50371
2 N -2.74647 7.80106 -4.72578
3 C -2.62470 6.54169 -4.87758
4 C -3.90911 5.76335 -5.18557
5 C -1.26433 5.81045 -4.77848
6 C -1.45558 4.38687 -4.24451
7 N -1.20178 3.40283 -5.08293
8 C -1.41433 2.15225 -4.57302
9 C -1.15183 1.03065 -5.41900
10 C -1.33367 -0.26070 -5.00579
11 C -1.00712 -1.45235 -5.90490
12 C 0.49685 -1.91052 -5.75672
13 C 0.92791 -1.82692 -4.27692
14 C 2.31896 -2.51609 -4.00320
15 N 2.79495 -1.99672 -2.70404
16 C 3.79873 -1.12124 -2.43050
17 C 3.74693 -0.98215 -1.04171
18 C 2.68468 -1.78936 -0.50961
19 C 2.11168 -2.42241 -1.61972
20 C -1.85098 -0.44070 -3.66153
21 C -2.10551 0.61124 -2.84157
22 C -1.87697 1.96634 -3.25814
23 N -2.12393 2.95889 -2.35124
24 C -1.89329 4.13394 -2.89118
25 S -2.15803 5.58394 -1.81812
26 H -4.64983 6.39831 -5.68950
27 H -3.71676 4.84310 -5.76174
28 H -4.35830 5.48778 -4.21136
29 H -0.91734 5.71729 -5.82462
30 H -0.52076 6.38671 -4.21218
31 H -0.77133 1.23844 -6.42645
32 H -1.23045 -1.22490 -6.95714
33 H -1.61316 -2.29893 -5.53451
34 H 0.49765 -2.97946 -6.04565
35 H 1.16653 -1.34414 -6.42168
36 H 1.04118 -0.79519 -3.90675
37 H 0.17956 -2.37519 -3.67882
38 H 2.10717 -3.58833 -3.88434
39 H 3.01281 -2.28169 -4.82121
40 H 4.44492 -0.65149 -3.16373
41 H 4.38808 -0.33012 -0.44741
42 H 2.36362 -1.88183 0.52476
43 H 1.26715 -3.10498 -1.59101
44 H -1.99499 -1.47596 -3.33756
45 H -2.46565 0.36864 -1.83576
46 H -1.01818 5.55267 -1.07451
47 C -4.91371 -0.44027 2.87758
48 N -5.42438 -1.09652 1.69994
49 C -6.51725 -0.35761 1.08602
50 P -4.92685 -2.52574 0.88531
51 O -4.23610 -1.82681 -0.26876
52 N -3.47736 -3.25467 1.49467
53 C -2.89512 -3.01982 2.79772
54 C -2.38618 -3.42319 0.53286
55 N -5.85068 -3.50999 1.95158
56 C -6.58066 -3.13143 3.14233
57 C -5.61551 -4.95459 1.88592
58 H -5.69575 -0.35919 3.64867
59 H -4.56672 0.57562 2.65847
60 H -4.08912 -0.95394 3.35859
61 H -7.46580 -0.90630 1.18638
62 H -6.33355 -0.19658 0.02019
63 H -6.65698 0.62264 1.54090
64 H -2.36654 -2.05963 2.84205
65 H -2.16555 -3.80095 3.03406
66 H -3.63568 -3.07258 3.59773
67 H -1.83267 -2.49018 0.37552
68 H -2.76352 -3.77489 -0.42443
69 H -1.68357 -4.18467 0.88759
70 H -5.91124 -2.94462 3.98691
71 H -7.26922 -3.92487 3.44389
72 H -7.21596 -2.26138 2.98389
73 H -4.83389 -5.26320 2.58579
74 H -5.31591 -5.25412 0.88245
75 H -6.52238 -5.51865 2.12009
76 C 5.53612 2.79793 3.61280
77 N 4.85324 1.64014 3.09401
78 C 3.79351 1.99657 2.16335
79 P 5.11909 -0.04947 3.32979
80 O 5.77986 -0.23101 1.97380
81 N 6.53515 -0.44437 4.24187
82 C 7.25785 0.45315 5.11530
83 C 7.50765 -1.31188 3.57470
84 N 4.19908 0.02300 4.78620
85 C 3.64569 1.17411 5.46611
86 C 4.25643 -1.15272 5.65882
87 H 4.84133 3.44141 4.17559
88 H 5.96745 3.40885 2.81149
89 H 6.34232 2.57521 4.30234
90 H 2.80496 1.76276 2.58719
91 H 3.89298 1.44755 1.22300
92 H 3.80122 3.05872 1.91883
*/
Registers a callback on the given #GstClockID id with the given function and user_data. When passing a #GstClockID with an invalid time to this function, the callback will be called immediately with a time set to GST_CLOCK_TIME_NONE. The callback will be called when the time of id has been reached.
The time master of the master clock and the time slave of the slave clock are added to the list of observations. If enough observations are available, a linear regression algorithm is run on the observations and clock is recalibrated.
Add a clock observation to the internal slaving algorithm the same as gst.clock.Clock.addObservation, and return the result of the master clock estimation, without updating the internal calibration.
Converts the given internal clock time to the external time, adjusting for the rate and reference time set with gst.clock.Clock.setCalibration and making sure that the returned time is increasing. This function should be called with the clock's OBJECT_LOCK held and is mainly used by clock subclasses.
Converts the given internal_target clock time to the external time, using the passed calibration parameters. This function performs the same calculation as gst.clock.Clock.adjustUnlocked when called using the current calibration parameters, but doesn't ensure a monotonically increasing result as gst.clock.Clock.adjustUnlocked does.
Gets the internal rate and reference time of clock. See gst.clock.Clock.setCalibration for more information.
Gets the current internal time of the given clock. The time is returned unadjusted for the offset and the rate.
Gets the master clock that clock is slaved to or null when the clock is not slaved to any master clock.
Gets the accuracy of the clock. The accuracy of the clock is the granularity of the values returned by gst.clock.Clock.getTime.
Gets the current time of the given clock. The time is always monotonically increasing and adjusted according to the current offset and rate.
Gets the amount of time that master and slave clocks are sampled.
Checks if the clock is currently synced, by looking at whether gst.types.ClockFlags.NeedsStartupSync is set.
Gets an ID from clock to trigger a periodic notification. The periodic notifications will start at time start_time and will then be fired with the given interval.
Gets a #GstClockID from clock to trigger a single shot notification at the requested time.
Reinitializes the provided periodic id to the provided start time and interval. Does not modify the reference count.
Attached: records of molecules >
┌──
A cluster of 11 separate species, C52H133N7O19 in total at a distorted geometry. Source: the OMol25 dataset; level of theory: wB97M-V/def2-TZVPD.

XYZ file:
```
211
C52H133N7O19, DFT wB97M-V/def2-TZVPD
C 25.191 8.001 12.886
O 26.012 6.992 12.202
C 26.877 7.334 11.082
C 27.347 6.040 10.436
O 27.191 6.189 9.019
C 26.155 5.444 8.340
C 25.048 6.572 8.116
O 24.404 6.881 9.294
C 23.503 5.884 9.804
H 24.794 7.540 13.790
H 24.478 8.497 12.227
H 25.836 8.821 13.203
H 27.746 7.882 11.444
H 26.426 8.033 10.377
H 26.946 5.070 10.729
H 28.395 5.949 10.721
H 25.844 4.621 8.983
H 26.511 5.065 7.382
H 24.350 6.151 7.392
H 25.553 7.430 7.674
H 23.161 5.082 9.150
H 22.660 6.405 10.257
H 23.935 5.387 10.673
C 30.973 -0.195 9.774
O 30.151 -0.355 10.917
C 29.268 -1.465 10.696
C 29.888 -2.792 11.012
O 29.963 -3.588 9.862
C 30.165 -4.951 10.170
C 28.859 -5.597 10.482
O 28.010 -5.294 9.409
C 27.163 -6.307 9.203
H 31.425 0.784 9.612
H 30.611 -0.462 8.781
H 31.725 -0.963 9.958
H 28.895 -1.424 9.672
H 28.422 -1.316 11.367
H 29.303 -3.245 11.813
H 30.904 -2.682 11.390
H 30.802 -5.222 11.012
H 30.566 -5.449 9.287
H 28.380 -5.219 11.386
H 29.062 -6.645 10.703
H 27.561 -7.278 8.906
H 26.402 -5.947 8.511
H 26.547 -6.512 10.079
C 24.201 1.680 11.969
O 25.581 1.104 12.023
C 26.102 0.747 13.286
C 26.451 2.065 14.004
O 25.323 2.580 14.654
C 25.459 3.972 15.000
C 24.265 4.462 15.723
O 23.021 4.421 15.054
C 22.924 5.195 13.863
H 23.885 1.809 10.933
H 24.099 2.694 12.355
H 23.417 1.124 12.483
H 27.068 0.304 13.045
H 25.508 0.078 13.909
H 26.840 2.778 13.276
H 27.107 2.022 14.873
H 25.726 4.615 14.162
H 26.257 4.180 15.712
H 24.571 5.490 15.920
H 23.993 3.964 16.653
H 23.882 5.387 13.380
H 22.464 6.145 14.137
H 22.085 4.796 13.293
C 20.891 2.084 8.882
O 22.121 2.734 8.714
C 22.847 2.475 7.452
C 24.326 2.089 7.678
O 25.149 2.624 6.686
C 26.370 1.959 6.405
C 27.233 1.368 7.571
O 27.345 2.339 8.641
C 28.233 2.012 9.705
H 20.575 2.013 9.922
H 20.842 1.189 8.261
H 20.189 2.767 8.403
H 22.918 3.370 6.833
H 22.376 1.679 6.875
H 24.646 1.051 7.771
H 24.645 2.395 8.675
H 26.970 2.446 5.636
H 25.998 1.062 5.909
H 28.180 1.082 7.114
H 26.820 0.430 7.939
H 29.241 1.669 9.474
H 27.799 1.210 10.303
H 28.361 2.821 10.425
C 23.851 8.757 17.682
C 23.986 9.900 16.701
C 22.747 10.183 15.832
O 22.566 9.160 14.883
C 22.155 9.580 13.609
N 24.427 11.097 17.419
H 23.440 7.872 17.195
H 23.303 9.048 18.578
H 24.771 8.385 18.134
H 24.823 9.739 16.022
H 22.924 11.150 15.362
H 21.856 10.181 16.460
H 22.069 8.773 12.882
H 22.880 10.347 13.335
H 21.137 9.960 13.526
H 24.267 11.889 16.813
H 25.427 10.998 17.526
C 25.928 0.879 17.277
C 27.018 0.459 18.270
C 26.698 1.211 19.605
O 25.306 1.184 19.962
C 24.852 0.079 20.690
N 26.917 -1.026 18.472
H 24.921 0.622 17.603
H 26.036 0.486 16.266
H 25.885 1.963 17.167
H 27.989 0.719 17.847
H 26.967 2.243 19.377
H 27.333 0.886 20.429
H 23.865 0.352 21.062
H 25.470 -0.148 21.559
H 24.683 -0.788 20.052
H 26.033 -1.213 18.923
H 27.623 -1.270 19.152
C 31.089 -1.198 14.490
└──
End of the records of molecules >
Adjusts the rate and time of clock. A rate of 1/1 is the normal speed of the clock. Values bigger than 1/1 make the clock go faster.
Sets master as the master clock for clock. clock will be automatically calibrated so that gst.clock.Clock.getTime reports the same time as the master clock.
Sets the accuracy of the clock. Some clocks have the possibility to operate with different accuracy at the expense of more resource usage. There is normally no need to change the default resolution of a clock. The resolution of a clock can only be changed if the clock has the #GST_CLOCK_FLAG_CAN_SET_RESOLUTION flag set.
Sets clock to synced and emits the #GstClock::synced signal, and wakes up any thread waiting in gst.clock.Clock.waitForSync.
Sets the amount of time, in nanoseconds, to sample master and slave clocks
Reinitializes the provided single shot id to the provided time. Does not modify the reference count.
Converts the given external clock time to the internal time of clock, using the rate and reference time set with gst.clock.Clock.setCalibration. This function should be called with the clock's OBJECT_LOCK held and is mainly used by clock subclasses.
Converts the given external_target clock time to the internal time, using the passed calibration parameters. This function performs the same calculation as gst.clock.Clock.unadjustUnlocked when called using the current calibration parameters.
Waits until clock is synced for reporting the current time. If timeout is GST_CLOCK_TIME_NONE it will wait forever, otherwise it will time out after timeout nanoseconds.
Connect to Synced signal.
The GStreamer core provides a GstSystemClock based on the system time. Asynchronous callbacks are scheduled from an internal thread.
Molecular data from another source follow:
'''
Record 1
C47H41N2NaO3P2S2 | ωB97M-V/def2-TZVPD

## Properties
F_max, eV Å⁻¹: 0.81
E_LUMO, eV: 0.21
Gap between HOMO and LUMO, eV: 7.42

Last column: Mulliken charge in e.
Geometry (Å):
Na (-0.01, -1.78, 0.44)  0.590
C (1.09, 5.80, 2.02)  -1.783
C (0.77, 4.41, 2.60)  1.967
C (0.61, 4.52, 4.13)  -1.660
C (-0.54, 3.90, 2.00)  0.893
C (-1.71, 4.66, 2.05)  -0.619
C (-2.93, 4.17, 1.60)  -1.497
C (-3.00, 2.88, 1.09)  0.108
C (-1.87, 2.09, 1.00)  -0.110
P (-1.85, 0.30, 0.54)  1.810
C (-3.24, 0.15, -0.64)  0.199
C (-3.97, -1.04, -0.73)  -0.879
C (-4.86, -1.25, -1.78)  -0.811
C (-5.03, -0.27, -2.75)  -0.575
C (-4.32, 0.92, -2.67)  -0.780
C (-3.43, 1.12, -1.62)  -0.719
C (-2.55, -0.38, 2.11)  0.625
C (-3.91, -0.42, 2.41)  -0.240
C (-4.34, -0.91, 3.63)  -0.744
C (-3.42, -1.35, 4.58)  -0.661
C (-2.07, -1.30, 4.29)  -0.797
C (-1.64, -0.82, 3.06)  -0.244
C (-0.65, 2.64, 1.44)  -1.038
O (0.44, 1.81, 1.30)  0.080
C (1.69, 2.24, 1.64)  -0.729
C (2.72, 1.37, 1.27)  0.267
C (4.01, 1.69, 1.67)  -0.677
C (4.26, 2.87, 2.36)  -1.632
C (3.22, 3.74, 2.64)  -0.422
C (1.91, 3.45, 2.28)  0.737
P (2.25, -0.13, 0.30)  1.594
C (3.80, -1.11, 0.33)  0.056
C (4.96, -0.76, -0.38)  -0.142
C (6.10, -1.54, -0.28)  -0.754
C (6.11, -2.67, 0.52)  -0.531
C (4.97, -3.03, 1.23)  -0.608
C (3.82, -2.25, 1.13)  -0.353
C (2.30, 0.52, -1.43)  0.686
C (1.97, 1.84, -1.76)  -0.624
C (2.03, 2.28, -3.08)  -0.586
C (2.44, 1.42, -4.09)  -0.611
C (2.75, 0.10, -3.78)  -0.947
C (2.67, -0.35, -2.46)  -0.152
H (0.33, 6.53, 2.31)  0.405
H (1.13, 5.76, 0.93)  0.366
H (2.05, 6.16, 2.39)  0.397
H (-0.21, 5.19, 4.38)  0.412
H (1.53, 4.90, 4.59)  0.380
H (0.39, 3.54, 4.56)  0.348
H (-1.67, 5.66, 2.48)  0.356
H (-3.82, 4.78, 1.66)  0.388
H (-3.96, 2.47, 0.77)  0.509
H (-3.82, -1.82, 0.00)  0.546
H (-5.41, -2.18, -1.84)  0.439
H (-5.72, -0.44, -3.57)  0.411
H (-4.45, 1.68, -3.43)  0.424
H (-2.86, 2.05, -1.57)  0.452
H (-4.64, -0.07, 1.69)  0.364
H (-5.41, -0.94, 3.86)  0.422
H (-3.76, -1.74, 5.53)  0.378
H (-1.34, -1.67, 5.00)  0.461
H (-0.57, -0.79, 2.85)  0.315
H (4.82, 1.01, 1.44)  0.490
H (5.27, 3.11, 2.67)  0.391
H (3.44, 4.66, 3.17)  0.364
H (4.96, 0.12, -1.01)  0.553
H (6.99, -1.26, -0.84)  0.414
H (7.01, -3.28, 0.60)  0.393
H (4.96, -3.92, 1.85)  0.464
H (2.92, -2.55, 1.67)  -0.089
H (1.70, 2.55, -0.98)  0.337
H (1.78, 3.31, -3.31)  0.423
H (2.50, 1.76, -5.12)  0.393
H (3.06, -0.59, -4.56)  0.426
H (2.93, -1.37, -2.23)  0.553
C (-0.79, -6.90, 2.01)  -0.717
O (-0.08, -5.81, 2.63)  -0.327
C (-0.01, -4.60, 2.04)  0.523
S (-0.71, -4.36, 0.50)  -0.478
S (0.79, -3.42, 2.94)  -0.392
H (-0.80, -7.69, 2.75)  0.239
H (-0.27, -7.23, 1.11)  0.302
H (-1.80, -6.61, 1.74)  0.313
N (-1.33, -3.92, -6.70)  -0.340
C (-1.45, -2.60, -6.38)  0.184
O (-1.68, -1.74, -7.21)  -0.621
C (-1.28, -2.25, -4.93)  0.864
C (-1.46, -3.15, -3.89)  -1.060
C (-1.28, -2.71, -2.58)  -0.274
N (-0.91, -1.46, -2.28)  0.531
C (-0.75, -0.61, -3.29)  -0.412
C (-0.93, -0.95, -4.61)  -0.867
H (-1.41, -4.17, -7.67)  0.234
H (-1.02, -4.60, -6.04)  0.177
'''
Clock implementors are encouraged to subclass this systemclock as it implements the async notification.
Subclasses can however override all of the important methods for sync and async notifications to implement their own callback methods or blocking wait operations.